(Request)
Could you retype every line further below that contains the word "low"?

(Given)
********
Structure and theoretical X-ray powder pattern of Zr2Pd7Pt3 (a cell relaxed with PBE; a wavelength of 1.5418 Å).

Structural model:
a b c (Å): 4.918 5.667 7.567
angles (deg): 98.83 95.91 107.73
Atoms (fractional coordinates):
Zr 0.006 0.195 0.180
Zr 0.994 0.805 0.820
Pd 0.000 0.000 0.500
Pd 0.496 0.413 0.667
Pd 0.497 0.913 0.667
Pd 0.499 0.749 0.002
Pd 0.501 0.251 0.998
Pd 0.503 0.087 0.333
Pd 0.504 0.587 0.333
Pt 0.000 0.500 0.500
Pt 0.007 0.693 0.169
Pt 0.993 0.307 0.831

The 10 most intense peaks (5 to 70 degrees two-theta), low angle first:
2θ/deg  Rel. int.
38.30  97
38.61  100
38.95  98
39.09  95
44.36  67
44.66  65
46.06  59
63.99  22
65.55  40
66.20  40

Structure and theoretical X-ray powder pattern of ZrPd3Pt6 (a cell relaxed with PBE; a wavelength of 1.5418 Å).

Structural model:
a b c (Å): 8.933 3.937 9.864
angles (deg): 90.00 103.20 90.00
Atoms (fractional coordinates):
Zr 0.200 0.250 0.197
Zr 0.800 0.750 0.803
Pd 0.072 0.750 0.726
Pd 0.297 0.250 0.813
Pd 0.335 0.750 0.623
Pd 0.665 0.250 0.377
Pd 0.703 0.750 0.187
Pd 0.928 0.250 0.274
Pt 0.026 0.250 0.906
Pt 0.109 0.250 0.532
Pt 0.250 0.750 0.008
Pt 0.383 0.250 0.454
Pt 0.425 0.750 0.275
Pt 0.478 0.250 0.093
Pt 0.522 0.750 0.907
Pt 0.575 0.250 0.725
Pt 0.617 0.750 0.546
Pt 0.750 0.250 0.992
Pt 0.891 0.750 0.468
Pt 0.974 0.750 0.094

The 10 most intense peaks (5 to 70 degrees two-theta), low angle first:
2θ/deg  Rel. int.
20.41  9
39.45  100
39.70  99
44.79  36
46.11  33
47.16  29
66.23  22
66.72  10
67.41  11
68.08  20

Structure and theoretical X-ray powder pattern of ZrPd6Pt23 (a cell relaxed with PBE; a wavelength of 1.5418 Å).

Structural model:
a b c (Å): 9.614 9.614 9.614
angles (deg): 131.48 131.48 71.05
Atoms (fractional coordinates):
Zr 0.000 0.000 0.000
Pd 0.249 0.249 0.498
Pd 0.249 0.751 0.000
Pd 0.250 0.250 0.000
Pd 0.750 0.750 0.000
Pd 0.751 0.249 0.000
Pd 0.751 0.751 0.502
Pt 0.000 0.000 0.500
Pt 0.000 0.500 0.000
Pt 0.000 0.500 0.500
Pt 0.120 0.372 0.748
Pt 0.127 0.871 0.256
Pt 0.129 0.385 0.256
Pt 0.129 0.873 0.744
Pt 0.372 0.120 0.748
Pt 0.372 0.625 0.252
Pt 0.375 0.628 0.748
Pt 0.385 0.129 0.256
Pt 0.500 0.000 0.000
Pt 0.500 0.000 0.500
Pt 0.500 0.500 0.000
Pt 0.500 0.500 0.500
Pt 0.615 0.871 0.744
Pt 0.625 0.372 0.252
Pt 0.628 0.375 0.748
Pt 0.628 0.880 0.252
Pt 0.871 0.127 0.256
Pt 0.871 0.615 0.744
Pt 0.873 0.129 0.744
Pt 0.880 0.628 0.252

The 10 most intense peaks (5 to 70 degrees two-theta), low angle first:
2θ/deg  Rel. int.
19.52  2
22.73  4
25.26  7
32.04  3
39.65  100
41.49  2
45.95  33
46.42  16
67.01  11
67.38  21

~~~~~

This entry pairs a crystal structure of LaPm6Te8 with its computed powder diffractogram. Radiation: a wavelength of 1.5418 Å. Structure: a cell relaxed with PBE.
Peak positions follow from Bragg's law for the DFT cell and can differ from measured ones.

Crystal structure
```
LaPm6Te8
1.0
0.000 6.305 6.305
6.305 0.000 6.305
6.305 6.305 0.000
La Pm Te
1 6 8
direct
0.000 0.000 0.000
0.000 0.000 0.500
0.000 0.500 0.000
0.000 0.500 0.500
0.500 0.000 0.000
0.500 0.000 0.500
0.500 0.500 0.000
0.250 0.250 0.250
0.259 0.259 0.741
0.259 0.741 0.259
0.259 0.741 0.741
0.741 0.259 0.259
0.741 0.259 0.741
0.741 0.741 0.259
0.750 0.750 0.750
```

Top 12 peaks for 2θ = 5–70°, most intense first:
d (Å)  two_theta  I_rel
3.153  28.31  100
2.229  40.46  76
1.410  66.30  34
1.820  50.12  27
1.576  58.56  13
3.802  23.40  4
2.893  30.91  3
6.305  14.05  3
4.458  19.91  3
1.642  56.01  2
7.281  12.16  2
2.820  31.73  2



This entry pairs a crystal structure of La2Pm3Te6 with its computed powder diffractogram. Radiation: a wavelength of 1.5418 Å. Structure: a cell relaxed with PBE.
Peak positions follow from Bragg's law for the DFT cell and can differ from measured ones.

Crystal structure
```
La2Pm3Te6
1.0
3.882 -6.702 0.000
3.882 6.702 0.000
-2.598 0.000 7.397
La Pm Te
2 3 6
direct
0.165 0.835 0.000
0.835 0.165 0.000
0.000 0.000 0.500
0.331 0.669 0.500
0.669 0.331 0.500
0.093 0.417 0.750
0.260 0.260 0.252
0.417 0.093 0.750
********

(Done)
The 10 most intense peaks (5 to 70 degrees two-theta), low angle first:
The 10 most intense peaks (5 to 70 degrees two-theta), low angle first:
The 10 most intense peaks (5 to 70 degrees two-theta), low angle first: